Entries.
-- begin --
Li3BiS3 | GGA-PBE | relaxed

Values from the calculation:
space-group type = R3c
ΔE to the lowest computed polymorph = 24 meV per atom

abc: 6.8759 6.8759 6.8759
angles: 105.22 105.22 105.22
Element x y z (fractional)
Li 0.1962 0.9746 0.5983
Bi 0.0151 0.0151 0.0151
Li 0.6962 0.0983 0.4746
S 0.2804 0.2931 0.9261
Li 0.4746 0.6962 0.0983
S 0.4261 0.7931 0.7804
Li 0.9746 0.5983 0.1962
Li 0.5983 0.1962 0.9746
Li 0.0983 0.4746 0.6962
S 0.7804 0.4261 0.7931
Bi 0.5151 0.5151 0.5151
S 0.9261 0.2804 0.2931
S 0.7931 0.7804 0.4261
S 0.2931 0.9261 0.2804

=====

Al2O3 | GGA-PBE | relaxed

Values from the calculation:
space-group type = P1

abc: 10.4006 9.7100 10.7578
angles: 91.55 94.31 89.83
Element x y z (fractional)
O 0.7404 0.4428 0.4827
Al 0.8174 0.7955 0.1703
O 0.1690 0.5751 0.6885
O 0.5334 0.9057 0.5402
Al 0.4210 0.7607 0.5582
O 0.2022 0.2722 0.7597
O 0.8827 0.6674 0.6461
Al 0.7929 0.1176 0.6910
O 0.9037 0.2674 0.7102
O 0.7289 0.1948 0.8232
O 0.2433 0.2096 0.3182
O 0.7108 0.1142 0.5391
O 0.8409 0.9412 0.7289
Al 0.4418 0.0522 0.4953
Al 0.8515 0.3613 0.8493
O 0.4098 0.5723 0.8170
O 0.7984 0.1171 0.1209
O 0.8359 0.3354 0.0192
O 0.1043 0.4672 0.1268
O 0.4831 0.2104 0.4363
O 0.8578 0.6361 0.0810
O 0.9581 0.5145 0.8510
Al 0.9150 0.0871 0.2502
Al 0.9608 0.5796 0.2205
O 0.9665 0.4178 0.2964
Al 0.6334 0.0203 0.1327
Al 0.3572 0.3413 0.4000
O 0.0542 0.0652 0.6444
O 0.4439 0.2689 0.8663
O 0.2439 0.0068 0.8526
O 0.2987 0.3838 0.5512
Al 0.8896 0.3449 0.4210
O 0.3736 0.6671 0.1725
Al 0.3896 0.6054 0.9890
Al 0.4278 0.2660 0.0298
Al 0.0896 0.4718 0.9617
Al 0.9446 0.1795 0.0239
O 0.5666 0.6507 0.0167
O 0.1042 0.6910 0.2430
O 0.5303 0.3717 0.6790
O 0.7036 0.8713 0.0553
Al 0.3811 0.9815 0.7622
Al 0.0225 0.9518 0.7822
O 0.8455 0.6766 0.3096
O 0.3812 0.9565 0.3524
Al 0.2298 0.5814 0.2018
O 0.0338 0.1811 0.1729
Al 0.1697 0.5174 0.5279
O 0.6869 0.4617 0.8608
O 0.2912 0.1649 0.0349
Al 0.7230 0.2889 0.1464
O 0.4108 0.4395 0.0847
Al 0.5523 0.5588 0.7392
O 0.5223 0.9731 0.8597
O 0.0525 0.6626 0.4773
Al 0.5689 0.8191 0.9354
Al 0.1158 0.3276 0.2500
O 0.3798 0.1101 0.6405
Al 0.3614 0.2980 0.6944
O 0.2151 0.5829 0.9425
O 0.0875 0.7866 0.7976
O 0.6432 0.9511 0.2972
Al 0.1740 0.1679 0.9018
Al 0.0615 0.2597 0.6565
Al 0.6320 0.2965 0.4271
O 0.6646 0.4615 0.1512
Al 0.0186 0.6281 0.7407
O 0.3595 0.7877 0.9373
Al 0.5159 0.5365 0.2075
O 0.0557 0.2953 0.9420
Al 0.1522 0.7665 0.3904
Al 0.3154 0.9514 0.0200
O 0.8824 0.9057 0.4762
Al 0.5954 0.2987 0.8171
O 0.7473 0.2612 0.3146
Al 0.6226 0.5903 0.4508
Al 0.2331 0.0278 0.2776
Al 0.7006 0.9385 0.4596
O 0.4746 0.9350 0.1126
Al 0.7123 0.5490 0.0187
O 0.5113 0.4380 0.3568
O 0.9297 0.9146 0.2245
O 0.0114 0.0590 0.9147
O 0.2954 0.6937 0.4558
O 0.5675 0.6850 0.3120
O 0.6457 0.7237 0.7926
O 0.2140 0.9351 0.1395
O 0.0356 0.3818 0.5352
O 0.9560 0.1615 0.4054
O 0.5720 0.1966 0.1033
Al 0.8865 0.7181 0.4747
O 0.5242 0.6157 0.5805
Al 0.7562 0.7797 0.6874
O 0.3391 0.8175 0.6881
O 0.1410 0.9495 0.4029
O 0.7144 0.7513 0.5125
Al 0.2647 0.6974 0.7980
Al 0.0139 0.0164 0.4865
O 0.2347 0.4600 0.3285
Al 0.4806 0.8416 0.2572

=====

KTiCu3Se4 | GGA-PBE | relaxed

Values from the calculation:
space-group type = P-43m

abc: 6.0800 6.0800 6.0800
angles: 90.00 90.00 90.00
Element x y z (fractional)
Cu 0.5000 0.0000 0.0000
K 0.5000 0.5000 0.5000
Cu 0.0000 0.5000 0.0000
Cu 0.0000 0.0000 0.5000
Se 0.2248 0.2248 0.2248
Se 0.2248 0.7752 0.7752
Se 0.7752 0.7752 0.2248
Se 0.7752 0.2248 0.7752
Ti 0.0000 0.0000 0.0000

=====

LiSmS2 | GGA-PBE | relaxed

Values from the calculation:
space-group type = I4_1/amd

abc: 6.8869 6.8869 6.8869
angles: 132.38 132.38 69.64
Element x y z (fractional)
S 0.7529 0.7529 0.0000
S 0.2471 0.2471 0.0000
S 0.5029 0.0029 0.5000
Sm 0.0000 0.0000 0.0000
S 0.9971 0.4971 0.5000
Li 0.5000 0.5000 0.0000
Sm 0.7500 0.2500 0.5000
Li 0.2500 0.7500 0.5000

=====

La5B4Rh15 | GGA-PBE | relaxed

Values from the calculation:
space-group type = P4/mmm

abc: 4.2899 4.2899 21.1335
angles: 90.00 90.00 90.00
Element x y z (fractional)
-- stop --
Exercise.
Filter the material further up: keep the lines with the word "mmm", please.
Worked solution.
space-group type = P4/mmm